Experimental Powerpoint!
Experimental Powerpoint! Read More »
Every now and then, the mess in my office gets overwhelming. I can’t find anything, I throw things about and stuff piles up so I can hardly get into the room. I reached that point this morning, so had a bit of a tidy.
Classic FM is having an all-day Mozart fest so I’ve got the music playing and I’m working away. There are still lots of piles about. That’s the way I work. If it’s filed, I’ve forgotten it, so it has to be piled so I’ll find it again later!
While tidying I started putting away the wreckage of this terms art-work. Pastels are back in pots, brushes have been washed and paintings put into my box of work. I took pictures of the ones I like best and then played with them on the computer – boosting colours, adding contrast, straightening and cropping, etc. The photos look a lot better than the originals, so I’ve included them in this post.
Now it’s time to start going through my “Arts Festival Pending” e-mail folder to get some jobs done before tomorrow’s committee meeting.
This picture is a bit warmer than my garden right now!
Short days and long nights have crept up on us again, along with some quite awful weather for a while. Our stream kept rising – as high as it’s been for several years. With strong winds and pouring rain I didn’t feel like going outside to do anything.
• Materials data that have nothing to do with the entry:
- - -
Starting from DFT lattice parameters and positions (GGA+U), the powder XRD pattern of KSrSmWO6 was simulated for Cu Kα (λ = 1.5418 Å).
Neutral-atom scattering factors, no anomalous dispersion.

Crystal structure
```
data_KSrSmWO6
_symmetry_space_group_name_H-M 'F -4 3 m'
_symmetry_Int_Tables_number 216
_symmetry_space_group_name_Hall 'F -4 2 3'
_cell_length_a 8.494
_cell_length_b 8.494
_cell_length_c 8.494
_cell_angle_alpha 90.00
_cell_angle_beta 90.00
_cell_angle_gamma 90.00
loop_
_atom_site_label
_atom_site_type_symbol
_atom_site_fract_x
_atom_site_fract_y
_atom_site_fract_z
_atom_site_occupancy
K1 K 0.000 0.000 0.000 1
Sr1 Sr 0.000 0.000 0.500 1
Sm1 Sm 0.250 0.250 0.750 1
W1 W 0.250 0.250 0.250 1
O1 O 0.020 0.250 0.250 1
```

Main lines, by intensity (2θ = 10–80°):
| two_theta | Rel. int. | h k l |
| --- | --- | --- |
| 29.75 | 100 | 2 2 0 |
| 52.80 | 40 | 4 2 2 |
| 20.92 | 36 | 2 0 0 |
| 42.57 | 31 | 4 0 0 |
| 61.78 | 19 | 4 4 0 |
| 70.06 | 18 | 6 2 0 |
| 47.89 | 16 | 4 2 0 |
| 65.99 | 8 | 6 0 0 |
| 77.92 | 6 | 4 4 4 |
| 18.09 | 5 | 1 1 1 |
| 36.65 | 2 | 2 2 2 |
| 35.04 | 2 | 3 1 1 |

~~~~~

The following is a calculated XRD peak list of Zr24P8H. It was derived from a structure optimized by DFT (GGA-PBE), using a wavelength of 1.5418 Å.
Peak positions follow from Bragg's law for the DFT cell and can differ from measured ones.

Atomic structure:
```
data_Zr24P8H
_space_group_name_H-M_alt 'P 1 2 1'
_space_group_IT_number 3
_space_group_name_Hall 'P 2y'
_cell_length_a 10.8667
_cell_length_b 5.3986
_cell_length_c 10.8678
_cell_angle_alpha 90.00
_cell_angle_beta 90.07
_cell_angle_gamma 90.00
loop_
_atom_site_label
_atom_site_type_symbol
_atom_site_fract_x
_atom_site_fract_y
_atom_site_fract_z
Zr1 Zr 0.0264 0.0556 0.1374
Zr2 Zr 0.0846 0.3141 0.6070
Zr3 Zr 0.1074 0.8134 0.4153
Zr4 Zr 0.1380 0.4996 0.9730
Zr5 Zr 0.1796 0.7909 0.7147
Zr6 Zr 0.2148 0.2919 0.3206
Zr7 Zr 0.2832 0.7638 0.1807
Zr8 Zr 0.3192 0.2595 0.7832
Zr9 Zr 0.3626 0.5543 0.5272
Zr10 Zr 0.3901 0.2449 0.0867
Zr11 Zr 0.4132 0.7380 0.8894
Zr12 Zr 0.4726 0.0000 0.3632
P1 P 0.0406 0.5634 0.2065
P2 P 0.2065 0.9907 0.9594
P3 P 0.2932 0.0625 0.5406
P4 P 0.4589 0.4915 0.2939
H1 H 0.5000 0.9907 0.0000
```

Largest 10 diffraction maxima, in order of rising 2θ, 10° ≤ 2θ ≤ 80°:
- 2θ 30.84, intensity 38, hkl 1 1 3
- 2θ 34.07, intensity 100, hkl 3 1 2
- 2θ 35.03, intensity 35, hkl 3 0 3
- 2θ 35.24, intensity 56, hkl 1 2 1
- 2θ 37.01, intensity 55, hkl 2 0 -4
- 2θ 37.19, intensity 18, hkl 0 2 2
- 2θ 37.99, intensity 74, hkl 1 1 4
- 2θ 40.86, intensity 20, hkl 2 2 2
- 2θ 42.41, intensity 19, hkl 5 0 -1
- 2θ 42.59, intensity 25, hkl 1 2 -3

---

The following is a calculated XRD peak list of HPd. It was derived from a structure optimized by DFT (GGA-PBE), using a wavelength of 1.5418 Å.
Peak positions follow from Bragg's law for the DFT cell and can differ from measured ones.

Atomic structure:
```
data_HPd
_space_group_name_H-M_alt 'F m -3 m'
_space_group_IT_number 225
_space_group_name_Hall '-F 4 2 3'
- - -
But now we’ve had high pressure for a few days. It’s very cold, with the frost lingering in this hollow from day to day and getting thicker and thicker each night. The pond is frozen over, but the stream is down and the sun is shining brightly.
These materials data were left in the page by mistake:
- - -
1.
CuS2N2O8: calculated XRD peak list (Cu Ka), based on a crystal structure in the Materials Project, relaxed with GGA-PBE.
No peak broadening, texture or thermal motion is included.

Most intense lines, 2θ from 10° to 80°, in order of falling intensity:
| d_spacing | I_rel |
| --- | --- |
| 6.771 | 1000 |
| 6.222 | 809 |
| 5.327 | 696 |
| 2.905 | 319 |
| 3.249 | 299 |
| 3.223 | 237 |
| 2.961 | 230 |
| 4.253 | 171 |
| 4.032 | 163 |
| 2.180 | 150 |

Cell and atoms:
Cell lengths 9.3573, 9.4051, 10.1778 Å; angles 113.85, 92.46, 90.79 degrees
Space group P-1 (No. 2)
One atom of each set of equivalent atoms:
Cu1 0.1377 0.3459 0.0828
Cu2 0.3553 0.0663 0.3328
S1 0.0732 0.2493 0.3181
S2 0.1317 0.6698 0.1217
S3 0.3663 0.1092 0.6439
S4 0.4392 0.2906 0.2169
N1 0.0000 0.0000 0.5000
N2 0.1991 0.4635 0.6926
N3 0.2272 0.9446 0.9088
N4 0.3156 0.6692 0.4544
N5 0.5000 0.5000 0.0000
O1 0.0357 0.7256 0.0266
O2 0.0602 0.6570 0.2408
O3 0.0737 0.7872 0.6579
O4 0.0909 0.1954 0.1560
O5 0.1124 0.4143 0.3925
O6 0.1677 0.1455 0.3660
O7 0.1771 0.5051 0.0196
O8 0.2363 0.1320 0.7237
O9 0.2554 0.7779 0.1598
O10 0.3329 0.0008 0.4842
O11 0.3330 0.3699 0.1512
O12 0.3820 0.1219 0.1747
O13 0.4278 0.7097 0.8520
O14 0.4370 0.2533 0.6546
O15 0.4457 0.3693 0.3735
O16 0.4588 0.0133 0.7039

***

2.
Ba2SrCa3Mg2Si4O16: calculated XRD peak list (Cu Ka), based on a crystal structure in the Materials Project, relaxed with GGA-PBE.
No peak broadening, texture or thermal motion is included.

Most intense lines, 2θ from 10° to 80°, in order of falling intensity:
| d_spacing | I_rel |
| --- | --- |
| 2.754 | 1000 |
| 2.807 | 825 |
| 3.932 | 571 |
| 1.966 | 493 |
| 1.600 | 299 |
| 2.256 | 292 |
| 1.590 | 209 |
| 2.560 | 206 |
| 2.315 | 197 |
| 1.377 | 167 |

Cell and atoms:
Cell lengths 5.5084, 6.9451, 9.5384 Å; angles 90.00, 90.02, 90.00 degrees
Space group P1 (No. 1)
One atom of each set of equivalent atoms:
Ba1 0.0000 0.0000 0.0000
Ba2 0.4999 0.9999 0.4988
Sr1 0.4978 0.6582 0.8322
Ca1 0.0002 0.3337 0.6648
Ca2 0.0033 0.6651 0.3332
Ca3 0.4996 0.3344 0.1673
Mg1 0.0002 0.4994 0.0015
Mg2 0.4997 0.4996 0.4974
Si1 0.9997 0.2261 0.3326
Si2 0.0014 0.7731 0.6632
Si3 0.4983 0.7730 0.1689
Si4 0.5002 0.2290 0.8328
O1 0.0573 0.3210 0.1763
O2 0.2061 0.3209 0.4392
O3 0.2365 0.3224 0.8830
O4 0.2564 0.6786 0.6026
O5 0.2822 0.6777 0.0697
O6 0.4479 0.6781 0.3254
O7 0.5003 0.0068 0.1669
O8 0.5008 0.9969 0.8328
O9 0.5567 0.3235 0.6760
O10 0.7065 0.3238 0.9399
O11 0.7367 0.3221 0.3820
O12 0.7583 0.6767 0.1147
O13 0.7873 0.6777 0.5622
O14 0.9661 0.6774 0.8216
O15 0.9994 0.0070 0.6652
O16 0.9993 0.9923 0.3327

***

3.
GdCo5P3: calculated XRD peak list (Cu Ka), based on a crystal structure in the Materials Project, relaxed with GGA-PBE.
No peak broadening, texture or thermal motion is included.

Most intense lines, 2θ from 10° to 80°, in order of falling intensity:
| d_spacing | I_rel |
| --- | --- |
| 2.302 | 1000 |
| 2.288 | 684 |
| 1.826 | 371 |
| 2.232 | 260 |
| 1.700 | 215 |
| 2.370 | 187 |
| 3.303 | 186 |
- - -
Here the page continues:
I went out to pick up some windfall apples. There was a carpet of them because it’s been a bumper year and because I couldn’t be bothered to go out and collect them as they fell. Now I have two large plastic shopping bags full. All I have to do is remove the slugs and cut them up for storage in the freezer. I reckon it will take all night, so I hope there’s something on the telly to watch while I do it!
But you know, laziness does have its rewards! The garden is full of birds – from the little wren I had to chase out of the garage this afternoon, to the brilliant kingfisher who perches alongside the stream and then shoots off with a flash of irridescent neon blue. (This is the best I could do before she flew off). The blackbirds, squirrels and badgers have been feasting on the apples and the birds have stripped our rowan trees of all their berries.
So here we are in December again. 21 days to the Solstice. I can’t wait!
December 1st, 2016 Read More »